Read Elite: The Dark Wheel Page 6

  Alex leapt from his co-pilot's seat and literally wrenched the woman free, throwing her to the floor. This was no time for courtesy. He buckled in, stabbed fire at the Anaconda's ram-scoop, then overflew, dodging laser and outrunning a missile, which then closed on him with alarming speed before he was able to destroy it.

  The planet Cirag was ahead of them once more. He began to run for safety, and then thought an alarming thought: what guarantees did he have that the Coriolis network would protect him if he got in range? He had no such guarantee. The space stations were as likely to be against him as the ships that pursued him.

  But if he could let them know what he carried, if he could communicate that he carried their god creatures, perhaps they would send their fighters to keep the freebooters at bay.

  To his right a Mamba appeared out of nowhere. He rolled the Nemesis and shot from his rear laser, then slowed speed, span and strafed the killer vessel from his port gun, watching the Mamba tumble out of control, not destroyed, just dead.

  If only he could release the cargo, jettison the cannisters containing the Mymurth life-systems, perhaps the pursuit would end. He and Elyssia would be out of pocket by three hundred credits, but so what? Neither he nor Elyssia were йlite, yet. He might feel like an йlite combateer, but faced with this sort of-A Mamba strafed him. Shields screamed. He targeted a missile, but used side-fire to battle with the attacker… — faced with this sort of pressure, neither of them could survive.

  Elyssia came round, staggered to her feet and stared, through blood-encrusted eyes, at the combat. Cirag came closer. A tiny spinning point of silver light winked and beckoned to them, but the sight of it did not fill Alex with joy.

  'There must be more than Mymurth in those cannisters…' Elyssia said quietly.

  'Let's discuss it later,' Alex retorted, as he rolled and veered to escape the fire coming from the closest of the big ships.

  The woman left the bridge. Hanging on for dear life, she went down to the cargo bay…

-- Someone pasted crystal structures at this point --
[1]
Compound: NiIrAu
Source: Alexandria
Functional: PBE
Structure: optimized geometry

Offset from the most stable computed form: 13.7 kJ/mol of atoms
Symmetry: No. 156
Energy of formation from the pure elements: 0.19 eV per atom

Cell lengths 2.769, 2.769, 6.636 Å; angles 90.00, 90.00, 120.00 degrees
Last column: magnetic moment on the atom in μB.
Sites, in units of the cell vectors:
Ir 0.333 0.667 0.359  0.24
Ni 0.667 0.333 0.655  0.52
Au 0.000 0.000 0.987  0.01



[2]
Compound: NiIr2Au
Source: Alexandria
Functional: PBE
Structure: optimized geometry

Offset from the most stable computed form: 23.8 kJ/mol of atoms
Symmetry: No. 44
Energy of formation from the pure elements: 0.37 eV per atom

Cell lengths 5.332, 5.332, 5.332 Å; angles 149.86, 128.42, 60.91 degrees
Sites, in units of the cell vectors:
Ir 0.988 0.988 0.000
Ir 0.745 0.245 0.500
Au 0.258 0.758 0.500
Ni 0.509 0.509 0.000



[3]
Compound: NiIr2Au
Source: Alexandria
Functional: PBE
Structure: optimized geometry

Offset from the most stable computed form: 20.4 kJ/mol of atoms
Symmetry: No. 139
Energy of formation from the pure elements: 0.34 eV per atom

Cell lengths 4.778, 4.778, 4.778 Å; angles 132.48, 132.48, 69.47 degrees
Sites, in units of the cell vectors:
Ir 0.000 0.000 0.000
Ir 0.500 0.500 0.000
Au 0.750 0.250 0.500
Ni 0.250 0.750 0.500



[4]
Compound: NiIrAu
Source: Alexandria
Functional: PBE
Structure: optimized geometry

Offset from the most stable computed form: 46.2 kJ/mol of atoms
Symmetry: No. 216
Energy of formation from the pure elements: 0.53 eV per atom

Cell lengths 4.116, 4.116, 4.116 Å; angles 60.00, 60.00, 60.00 degrees
Last column: magnetic moment on the atom in μB.
Sites, in units of the cell vectors:
Au 0.000 0.000 0.000  0.10
Ni 0.750 0.750 0.750  0.93
Ir 0.500 0.500 0.500  1.14



Short version: total DFT energy (no corrections) = -17.4, -25.3, -25.4, -16.3 eV/cell, in the order given.
-- Back to the piece --

  And suddenly the attack finished.

  Alex nearly jumped with surprise. One moment his tail had been hot, and his port laser almost at exploding point. The next: nothing. The heavy lights of the massive pirate ships dropped away into the background. Two of the Mambas continued to dog his tail for a moment, firing last, optimistic bursts of fire. Then they vanished, streaking away into darkness, away from the sun.

  Alex slowed the Nemesis and checked damage levels. They were not seriously hurt, but two missiles were gone, and energy levels were low. Their cargo was intact, however, and if the pirates had backed off, this close to the world, it could only mean that Cirag would defend its visitors.

  Elyssia came back onto the bridge, holding the small, black box that was a Thru-Vis camera. 'They look like turtles. They stink like turtles. They're as boring as turtles. But I've taken a couple of Thru-V shots, just to see if anything else is hiding in there…'

  'Good idea. Let's see?'

  'Two or three minutes…'

  She placed the camera down, sat back in the co-pilot's seat and looked at him. 'You okay?'

  Alex nodded. 'Shaken. How about you?'

  'Bruised, bloody but unbowed. We in the safe zone?'

  'Looks that way.'

  The Coriolis station span gently before them, bright with sunlight, casting its shadow on the patchy grey and yellow of the huge world below. Several ships were tethered to buoys close by. They looked safe enough. Lights flashed on the Station. Everything gleamed, everything welcomed.

  Alex sailed gracefully past the immense flying city, then turned to face the entrance.

  But there was no entrance. 'What in God's…?'

  He sat there, motionless in space, rotation matched with the Coriolis, facing blank metal. By zooming in he could see the shape of the entrance, closed, now, protectively.

  'Afraid of strangers?' Elyssia suggested.

  'We need fuel badly. They'd better not be too afraid…'

  Then the crackle of an audio message coming in. On the screen, only the space station, with stars and the sun behind.

  'Identify, identify. This is Craig Orbit Space.'

  'Cobra class trader, the Nemesis,' Alex said. 'We have a cargo of Mymurth.

  Open the gates.'

  There was silence for a while, though the channel remained open because it continued to hiss and crackle. Then:

  'Attention, Nemesis. Mymurth trade in Coriolis stations is prohibited. '

  'What? '

  'Release your cargo before coming aboard. Release cargo. You will be compensated.'

  Alex glanced at Elyssia. 'What the hell do we do?'

  'Sounds unprofessional to me,' the woman said. 'Sounds a little fishy…'

  She picked up the camera and removed the developed and printed film.

**Calculated crystals, as found in the file**
........
## Ni5P4O16 (GGA+U)

Data for a relaxed structure of Ni5P4O16.

Summary:
Polymorph energy (0 for the lowest one) = 0 kJ/mol of formula units
Calculated volume = 11.98 A^3/atom
Symmetry = P-1

a = 5.062 Å, b = 7.915 Å, c = 8.255 Å
α = 112.26°, β = 90.12°, γ = 100.94°
Fractional coordinates of all 25 atoms:
1 Ni 0.000 0.000 0.000
2 Ni 0.105 0.236 0.765
3 Ni 0.346 0.594 0.320
4 Ni 0.654 0.406 0.680
5 Ni 0.895 0.764 0.235
6 P 0.150 0.213 0.426
7 P 0.381 0.701 0.975
8 P 0.619 0.299 0.025
9 P 0.850 0.787 0.574
10 O 0.074 0.031 0.262
11 O 0.084 0.754 0.447
12 O 0.226 0.674 0.130
13 O 0.249 0.823 0.908
14 O 0.257 0.376 0.377
15 O 0.314 0.216 0.965
16 O 0.355 0.185 0.555
17 O 0.355 0.503 0.826
18 O 0.645 0.497 0.174
19 O 0.645 0.815 0.445
20 O 0.686 0.784 0.035
21 O 0.743 0.624 0.623
22 O 0.751 0.177 0.092
23 O 0.774 0.326 0.870
24 O 0.916 0.246 0.553
25 O 0.926 0.969 0.738

## NiPO4 (GGA+U)

Data for a relaxed structure of NiPO4.

Summary:
Calculated total energy = -37.220 eV/f.u.
Calculated volume = 11.04 A^3/atom
Symmetry = Cmcm

a = 4.750 Å, b = 4.750 Å, c = 6.401 Å
α = 90.00°, β = 90.00°, γ = 113.47°
Fractional coordinates of all 12 atoms:
1 Ni 0.000 0.000 0.000
2 Ni 0.000 0.000 0.500
3 P 0.355 0.645 0.750
4 P 0.645 0.355 0.250
5 O 0.222 0.289 0.750
6 O 0.248 0.752 0.548
7 O 0.248 0.752 0.952
8 O 0.289 0.222 0.250
9 O 0.711 0.778 0.750
10 O 0.752 0.248 0.048
11 O 0.752 0.248 0.452
12 O 0.778 0.711 0.250

## NiP3O9 (GGA+U)

Data for a relaxed structure of NiP3O9.

Summary:
Polymorph energy (0 for the lowest one) = 0 kJ/mol of formula units
Calculated volume = 16.27 A^3/atom
Symmetry = R3

a = 6.266 Å, b = 6.266 Å, c = 6.266 Å
α = 105.74°, β = 105.74°, γ = 105.74°
Fractional coordinates of all 13 atoms:
1 Ni 0.000 0.000 0.000
2 P 0.055 0.910 0.490
3 P 0.490 0.055 0.910
4 P 0.910 0.490 0.055
5 O 0.061 0.341 0.062
6 O 0.062 0.061 0.341
7 O 0.325 0.939 0.631
8 O 0.341 0.062 0.061
9 O 0.631 0.325 0.939
10 O 0.659 0.927 0.951
11 O 0.927 0.951 0.659
12 O 0.939 0.631 0.325
13 O 0.951 0.659 0.927

## NiP2O2 (GGA+U)

Data for a relaxed structure of NiP2O2.

Summary:
Polymorph energy (0 for the lowest one) = 354 kJ/mol of formula units
Calculated volume = 12.12 A^3/atom
Symmetry = P4/mmm

a = 3.619 Å, b = 3.619 Å, c = 4.624 Å
α = 90.00°, β = 90.00°, γ = 90.00°
Fractional coordinates of all 5 atoms:
1 Ni 0.000 0.000 0.000
2 P 0.000 0.000 0.500
3 P 0.500 0.500 0.500
4 O 0.000 0.500 0.000
5 O 0.500 0.000 0.000

## Ni3P2O8 (GGA+U)

Data for a relaxed structure of Ni3P2O8.

Summary:
Polymorph energy (0 for the lowest one) = 0 kJ/mol of formula units
Calculated volume = 11.00 A^3/atom
Symmetry = P2_1/c

a = 5.893 Å, b = 4.746 Å, c = 10.227 Å
α = 90.00°, β = 90.85°, γ = 90.00°
Fractional coordinates of all 26 atoms:
1 Ni 0.000 0.000 0.000
2 Ni 0.000 0.500 0.500
3 Ni 0.258 0.013 0.725
4 Ni 0.258 0.487 0.225
5 Ni 0.742 0.513 0.775
6 Ni 0.742 0.987 0.275
7 P 0.248 0.577 0.905
8 P 0.248 0.923 0.405
9 P 0.752 0.077 0.595
10 P 0.752 0.423 0.095
11 O 0.034 0.735 0.838
........
**Back to the page**

  Staring at the two prints for a moment, she suddenly seemed to realise what she was looking at and gasped.

  'Oh my Sweet World…' she said slowly, and passed the prints to Alex.

  On the screen, the entrance to the space station began to open slowly.

  Two lights shone there, like eyes, tiny in the dark void space beyond.

  Alex looked at the Thru-V pictures, and for a second couldn't comprehend the grotesque sights he saw. Looking through the bodies of the Mymurth, the camera had picked up the spider-like life-forms that were living inside the shuffling, harmless turtle-forms. The sight was discomforting. Jointed legs seemed to be reaching out into every limb, and every body space. The central black body was shiny, and from it peered a number of bloated, faceted eyes. Two long, bristly tendrils stretched into the Mymurth's brains from each of these hideous parasites.

  'What are they?' Alex whispered, and Elyssia said, 'Trouble. They're immature Thargoids' Alex felt his heart quicken. Tharglets! He was transporting Tharglets, the larval forms of one of the most deadly life-forms in the known Galaxy!

  Set-up? Being set-up hardly began to describe the way they'd been duped on Xezaor!

  No wonder the pirates had closed so ravenously…

  'There's good bounty on Tharglets. Navy pays well for research purposes.'

  'They're also deadly; and they make ideal mercenary fighters if trained and developed. We've been carrying fighters for Cirag. Pirate fighters. No wonder they want to destroy us. They won't want any evidence lof this…'

  Alex stared at the space station. For a moment Elyssia's words just went in and didn't register. He was thinking of the pirates who had attacked, and who had been beaten back…

  He was thinking that the danger was over… they were at a Coriolis station, and the only danger now was illegal trading…

  He was thinking safety…

  He watched as the bright eyes slid forward, out of the space port. Behind the eyes came the bulky shape of the ship to which they were attached.

  Behind the ship came light, bright light, a gleaming yellow beam that cast the shadow of the ship across the Nemesis…

  The shadow of a snake.

  The Cobra!

  He would have known that ship anywhere. It was months since he had seen it, but not a night had passed when the shape of it, when the evil of it, had not infested his dreams.

  The ship that had destroyed the Avalonia came slowly towards him, and he had no doubt at all as to its identity.

  And nor had Elyssia.

  She sucked in her breath and moved towards the console. 'I want him. Let me take the controls…'

  'Sit down,' Alex said coldly, and Elyssia turned angrily on him.

  'I have as much stake in this as you…'

  'Luck of the draw,' Alex said. 'The pilot of that ship killed my father…'

  'Killed my whole family! We were escaping from Teorge, and we asked that ship for help, for supplies. It took my sister and myself as slaves, and blasted my family's vessel to pieces. I escaped. My sister didn't. Alex, I want that bastard!'

  'Too late…'

  Fire blossomed from the front of the Cobra. The Nemesis rocked and rattled.
r />   Alex targeted a missile, then stabbed laser fire back. The energy spread over the Cobra's screens like a bright yellow flower.

  It accelerated towards them. Alex accelerated too, but rose over the killer, and over the space station.

  We can't fight it! We've not got the weapons, nor the defences. Not yet.

  Damn! What should we do?

  On the rear screen, Alex saw the sombre shape of the killer rising above the Coriolis station. A flash of light presaged the warning INCOMING MISSILE, and Alex targeted the ECM to destroy it. As he did so, he turned.

  The two ships tore past each other, majestic metal galleons, raking each other with fire before turning and approaching again.

  Twice they duelled in this way. The Nemesis groaned beneath the weight of the laser strikes on its hull; the energy in its storage cells began to drain away. In Alex's mind there was only confusion. The Cobra knew him, and wanted him, and wouldn't let go. And this was the ship he wanted to kill…

  But he wasn't equipped to kill it… Not yet. Not yet!

  So despite Elyssia's objections, Alex turned and ran for the sun.

  The Cobra followed. The two ships manoeuvred and looped, slowed and speeded up. Whenever possible, Alex rear-lasered, and this had the effect of driving the pirate back a little. It targeted and dispatched three more missiles, and Alex shot them down. He was tempted to think that that represented the full missile load of the Cobra, but he wisely avoided such complacency. His own missile remained targeted, ready to fly, but he imagined that it would meet a quick and pointless fate.

  The sun edged closer. It grew in size and majesty. The cabin temperature of the Nemesis rose.

  Immense arms of plasma curled out from the surface, like weird creatures rising above a molten sea. Alex flew towards one, fuel-scoop ready.

  The Cobra fired at him. Shields screeched.

  The duelling ships entered the realm of the Inferno…

  Alex said, 'It's working. Look…' The fuel gauge was edging up as the scoop sucked in raw plasma and converted it to the energy form needed for Witch-Space transit. He skimmed the Nemesis along the edge of the great ocean of fire. The arms of the corona was millions of miles long, thousands wide, and curling round, like a whirlpool. At its centre, then, there was a calm place, a place away from the heat and danger.

  Alex headed towards it. The cabin filled with an eerie brilliance in which shadows seemed to writhe and beckon. The sun was an unbearable glare. The temperature of the ship rose dramatically. Fire played about the hull, and the shields moaned and creaked.

  'Not long,' Elyssia said. At last she too had come to realise that they were just not ready to fight the Cobra. They had to get out of here, and fast. The nearest star was six light years distant, their fuel gauge showeda jump capability of four, and rising…

  In the calm sea, wrapped around by sunfire, the Nemesis hovered, and waited. Somewhere in the brilliant glow of the plasma arm the Cobra searched for them, but perhaps they were safe, now, safe from scanning, or from probing, since no electronic eye or ear could pierce the intense radiation field of the corona.

  'Five light years and climbing. Get ready to go, we're already targeted…'

  'I'm ready,' Alex said. He tried not to think of the consequences of such a long, unsupervised jump… in the first instance they would just jump small distances, but the hyperdrive mechanism wouldn't tolerate too many such feeble movements.

  Alex turned the Nemesis so that it gently span in a circle, searching the flickering, shadowy fire for danger.

  'Five point five light years. A minute more. Just sixty seconds…

  'Just thirty seconds… we're filling up lovely…

  The ship hummed. Alex dripped with sweat.

  'Just twenty seconds more, Alex, and we can fly like star seed…'

  On the scanners the merest flicker of light hinted at the presence of the Cobra. It was on the other side of the strand of plasma; a curtain of fire separated them. Nemesis and killer stood motionless in space, facing each other through the great erupting wave of sunfire.

  'We're ready to go,' Elyssia said. 'Alex. Go! Now!'

  Alex Ryder shrugged her off. 'No,' he said. 'Not yet…'

  'Alex! '

  He pushed the ship towards the fire. The flickering, ghostly image on the scanners moved too.


  And with a sudden cry, Alex stabbed speed into the Nemesis' engines, and raced towards the veil of flame and plasma. All vision had gone. All he could see was his father's face; and the white ball of flame that had been the Avalonia…

  All he could feel was grief, and anger, and hate…

  All he knew was that he had a missile targeted on the Cobra, and that he had one last, desperate chance…

  The ships closed. The distance between them was the distance of the plasma veil. It played on the hull of the Nemesis, and the shields screamed and complained. He could not go too deep…

  Not too far in…

  Too dangerous…

  He fired the missile.

  The tiny vessel sped into the sunfire, weaving and ducking as it homed on the Cobra. It didn't show on Alex's scanner. It didn't show on the Cobra's scanner. Not until it was too late…

┌──
(1)
Crystalline Li2MgCd2 at its relaxed geometry. Source: Alexandria, functional GGA-PBE.

Unit cell a=8.3465 b=4.7267 c=9.9476 alpha=90.00 beta=104.55 gamma=90.00
Closest atoms and distances in Å follow each position.
Space group C2/c (No. 15)
Inequivalent atoms, fractional coordinates:
Li 0.2024 0.2505 0.3586  1 Li 2.72, 4 Cd 2.84-2.86, 3 Mg 2.95
Mg 0.0000 0.2492 0.7500  6 Li 2.95, 6 Cd 3.02-3.26
Cd 0.1044 0.2502 0.0634  4 Li 2.84-2.86, 3 Cd 3.01-3.02, 1 Mg 3.02

**DOS(E_F)**: 0.2758 states/eV per atom
**Energy relative to the elements**: -206.3 meV/atom
**Energy relative to the lowest polymorph listed for this composition**: 0.0 meV per atom

=====

(2)
Crystalline Rb2PuInF6 at its relaxed geometry. Source: Alexandria, functional GGA-PBE.

Unit cell a=6.7150 b=6.9299 c=11.6469 alpha=90.00 beta=124.57 gamma=90.00
Closest atoms and distances in Å follow each position.
Space group P2_1/c (No. 14)
Inequivalent atoms, fractional coordinates:
Rb 0.2308 0.0459 0.2477  6 F 2.84-3.15
Pu 0.5000 0.0000 0.0000  6 F 2.29-2.30
In 0.0000 0.0000 0.5000  6 F 2.69-2.77
F 0.1766 0.1882 0.9479  1 Pu 2.30
F 0.2525 0.7353 0.9331  1 Pu 2.29
F 0.3836 0.0572 0.7752  1 Pu 2.30

**Formation energy from raw total energies**: -2.86 eV per atom
**DOS(E_F)**: 0.7210 states/eV per atom

=====

(3)
Crystalline Rb2BPdAu at its relaxed geometry. Source: Alexandria, functional GGA-PBE.

Unit cell a=6.5819 b=6.5819 c=4.0826 alpha=90.00 beta=90.00 gamma=90.00
Closest atoms and distances in Å follow each position.
Space group P4/mmm (No. 123)
Inequivalent atoms, fractional coordinates:
Rb 0.0000 0.5000 0.0000  2 Au 3.29
B 0.0000 0.0000 0.5000  2 Au 2.04
Pd 0.5000 0.5000 0.5000  8 Rb 3.87, 2 Pd 4.08
Au 0.0000 0.0000 0.0000  2 B 2.04

**DOS(E_F)**: 0.7380 states/eV per atom
**Energy relative to the elements**: 549.3 meV/atom

=====

(4)
Crystalline ScMn2Ni at its relaxed geometry. Source: Alexandria, functional GGA-PBE.

Unit cell a=3.8624 b=3.8624 c=7.9218 alpha=90.00 beta=90.00 gamma=90.00
Closest atoms and distances in Å follow each position.
Space group I4/mmm (No. 139)
Inequivalent atoms, fractional coordinates:
Sc 0.0000 0.0000 0.0000  4 Ni 2.73, 8 Mn 2.77
Mn 0.0000 0.5000 0.2500  4 Mn 2.73, 4 Ni 2.77, 4 Sc 2.77
Ni 0.0000 0.0000 0.5000  4 Sc 2.73, 8 Mn 2.77

**DOS(E_F)**: 1.1351 states/eV per atom
**Energy relative to the elements**: 74.6 meV/atom

=====

Compound: RbWO3F
Source: Alexandria via LeMat-Bulk
Functional: PBE+U
Structure: relaxed

Calculated values
E: -6.15 eV per atom
density: 3.7 g/cm³

abc: 5.3552 20.5773 5.5255
angles: 90.00 90.00 90.00
Space group Cmcm (No. 63)
Unique sites:
1 Rb 0.0000 0.2368 0.2500 [4 per cell]
2 W 0.0000 0.4711 0.7500 [4 per cell]
3 O 0.0000 0.3870 0.7500 [4 per cell]
4 O 0.2324 0.5000 0.0000 [8 per cell]
5 F 0.0000 0.2218 0.7500 [4 per cell]

=====

1.
# Co2NiAg | Alexandria | meta-GGA SCAN | single point on PBEsol structure
# DFT total energy	-80.9	eV per formula unit
# formation energy	311	meV/atom
└──
## The records of crystals stop here

  The Cobra triggered its ECM. Alex saw the burst of brightness, the sudden detonation… and then he saw the great fireball that gyrated around the destroyed missile.

  Momentum, heat, plasma, fire… all gathered together into a ball of death that swept from the corona and engulfed the Cobra.

  No shield known could stand against such intense energy, the raw energy of the sun, stung and screaming, blown into a great tidal wave of explosive terror.

  The Cobra bathed in light and fire. Alex watched the scanner, and suddenly.

  The light was gone.

  The Cobra was dead. Destroyed. Gone forever.

  The Nemesis slowed and turned, went back to safety.

  No-one on its bridge said a word. But in the bright light of the ageing sun, tears glistened on two faces.

  Chapter eight: Coda

  The holoFac of Rafe Zetter gleamed and shimmered on the bridge of the Nemesis, as if with pride. Behind it, the full face of Lave was a welcome and relaxing sight. The last of the Mymurth and their precious parasites had been off-loaded into two Navy Asp-type ships. The final payment had not yet been agreed, but the figure would not be less than one hundred credits per creature.

  'I knew you could do it,' Rafe said, chewing happily and stroking his wispy sidewhiskers. 'Had to be sure. But was confident enough to get you to Cirag before you were ready.'

  'We could have been killed,' Alex muttered. 'That system was crawling…'

  'But a good combateer, even an йlite combateer, knows when to run, and how to run. I'm proud of you… you ran and scored.'

  And as he spoke, so on the screen a message came through from the Galactic Police HQ on Lave Coriolis 6.

  Congratulations to Alex Ryder, and thanks on behalf of the Galactic Co-operative of Worlds for your efforts and skill in destroying pirate vessels as documented by you, and verified by on-board V-film. We have pleasure in assigning to you the Combat Status of 'Deadly'. Your legal status of 'Offender' has been negated. Your new rating as Deadly will be lodged in the GalNetwork within a standard day.

  'Select wisely in battle, and be strong.'

  So there it was. Alex was not yet twenty earth years of age, had come within one step of being rated more highly as a combateer than most people would even dream about.

  He was deadly; he had killed the Cobra; why the Cobra had killed his father Alex hadn't thought to ask… of the ship's pilot, at least. He had guessed that the ship and its bounty killer pilot had simply been earning a wage.

  Instead, he said to Rafe, 'Did you know the ship was at Cirag?'

  'Had a good idea of it, Alex. That's why we sent the Tharglets with you.

  Nobody, but nobody — if they're a tad evil — can resist booty like that. I knew it would bring every freebooter for a
light year after you, but I reckoned you could handle them. Most importantly, I was damn sure that your cargo would bring out the Cobra.

  'You fought well. You showed the sort of instinct for combat that I remember in Jason. He was right. You are the man to follow him.'

  'Follow him where?'

  Rafe chuckled and shook his head. 'You see, that's the big question. Your father was chasing the mythical plant Raxxla. Does it exist, or does it not?If it does, then on Raxxla there's an alien construct that's a gateway to other Universes, and all that's in those Universes in the way of bounty, and treasures, and aliens, and life…

  'Jason Ryder was convinced that Raxxla existed. That's why he trained for, and became a part of, the Dark Wheel, the legend-seekers. I hadn't heard much from him or about him for some time until just before he died, when he told me he'd found evidence for the real existence of Raxxla. He came back from Deep Space to get a proper team together… 'Rafe smiled bitterly.

  'But just before he was due to go back, he decided to take a safe-worlds holiday jaunt with his son… and an assassin was waiting for him.''But why?' Alex asked. 'Why kill him for finding Raxxla?'

  'Because there are people on Raxxla already. This is only a guess, mind you, but from what happened to Jason I'd say it was close to being right.

  We've long suspected that a corps of йlites lives there, and are exploiting the gateway. They're powerful, twisted men. Powerful enough to hire an assassin to kill the threat to their dominance.'

  Rafe leaned a little closer to Alex, his bright eyes gleaming, an intense look on his grizzled face.

  'I've put you through your paces, Alex, you and Elyssia both. The Dark Wheel needs you. Both of you. But believe me, what you've just been through is nothing to what you face now. You've got to become йlite, Alex. And that means a lot of training, and a lot of fighting, and maybe a lot of months, even years. But then the Universe will open up before you in a way you never imagined possible.'

  Alex stood silent, thoughtful, watching the old man. In the corner, half in shadows, Elyssia stood and watched too, frightened by what she was hearing.

  'Has the grief gone?' Rafe asked, and Alex nodded. The old trader smiled.

  'How does it feel to be rich?'